Did you know composting food waste is one of the easiest and most effective ways of recycling? According to Stopwaste.org, food scraps and food-soiled paper – paper plates, pizza boxes, and paper napkins – comprise the largest portion of the waste stream. Such scraps represent 35% of all waste in Alameda County. While removing harmful toxic waste and hazardous household waste is more complicated and may require safety precautions, recycling food scraps by sending them to a composting facility allows the scraps to be used by landscapers and farmers, where they can benefit the environment, instead of adding to landfill trash.
Recently, Oakland-based muralist collective and non-profit organization the Community Rejuvenation Project (CRP) was commissioned by Stopwaste.org’s Tommy Fenster to paint a mural promoting the org’s campaign to spread awareness about its food scraps recycling program. As Fenster notes, “compostables such as paper coffee cups, meal leftovers (including meat and dairy), coffee filters and pizza boxes can go in the curbside green bin and be mixed with yard debris to create compost. Compost is essential for community gardens and farms since it enriches soil, conserves water, provides erosion control, and grows healthier crops, all while reducing greenhouse gas emissions.”
Here the page breaks off for molecular data >
........
This record from the Open Molecules 2025 dataset describes C39H35N5O5PRbS2 as an isolated structure at a distorted geometry. The level of theory is the ωB97M-V functional and the def2-TZVPD basis.

HOMO energy ... -8.456 eV
Electronic energy ... -3318.9782 Eh
Gap between HOMO and LUMO ... 8.4 eV
Relative energy (zero: lowest compared OMol25 entry of this formula, charge and spin) ... 1.408 eV
LUMO energy ... -0.06 eV

Geometry as ORCA input:
```
! RIJCOSX wB97M-V def2-TZVPD def2/J DEFGRID3
* xyz 0 1
C -7.040 -4.472 2.913
H 1.087 4.476 -0.876
C 1.592 4.705 0.058
H 2.982 -0.082 0.929
H 0.973 3.015 2.240
C 2.649 3.891 0.481
C -6.610 -3.782 1.642
O -1.270 -1.753 -4.178
C 1.780 6.060 2.037
Rb 1.277 -0.284 -0.940
H -1.620 -1.435 -1.173
N -0.198 -1.659 1.114
H 7.521 1.775 1.457
C 0.257 2.234 2.488
H -6.233 -4.373 -1.690
C 4.102 3.125 -1.877
C 4.904 -0.344 1.813
H -6.551 -4.041 3.787
C -6.269 -2.431 1.644
H 0.434 -3.731 -0.708
H -5.677 -0.720 0.470
N 3.246 0.387 -2.655
C -2.273 -5.204 0.753
C 4.709 2.252 -2.805
C -1.167 -5.031 -0.091
N -3.875 -1.739 -2.488
C 6.180 0.174 1.969
H 3.305 5.465 3.423
C -1.873 -3.087 1.703
C -3.045 -0.499 -2.514
H 6.615 4.473 -4.529
H -6.840 -5.528 0.419
C 2.824 5.258 2.474
C 4.402 4.480 -1.958
C 1.166 5.784 0.819
C -2.649 -4.234 1.662
H -0.921 -5.806 -0.808
H 4.635 -1.282 2.282
C -0.402 -3.887 -0.036
P 2.999 2.415 -0.566
C -0.769 0.286 2.502
C -1.561 0.931 3.395
C -5.900 -2.491 -0.720
C -6.236 -3.838 -0.747
C 5.621 2.746 -3.730
H 1.443 6.895 2.640
C 4.292 1.543 0.420
S -5.494 -1.657 -2.222
H -3.509 -4.360 2.292
N 0.273 1.034 1.983
O -6.116 -2.424 -3.261
C -6.581 -4.473 0.435
C -1.607 -0.758 -2.041
H -3.536 0.243 -1.893
H -6.811 -5.538 2.884
H 6.913 -0.357 2.566
C 3.970 0.336 1.039
C 4.426 0.789 -2.857
H 5.220 0.089 -3.107
H -2.997 -0.139 -3.537
C -0.945 -1.098 2.022
H 6.099 2.055 -4.418
H 5.864 2.972 0.083
C -5.918 -1.778 0.473
H 4.068 3.563 2.064
C -0.731 -1.425 -3.125
H 5.510 6.030 -2.947
H -2.858 -6.113 0.678
H -1.145 0.186 -1.733
H -8.119 -4.372 3.061
H -6.302 -1.875 2.580
N -1.966 -1.909 2.432
O 3.108 -0.983 -2.690
O -5.812 -0.279 -1.980
C 5.587 2.044 0.573
H -3.662 -2.398 -3.235
H -2.682 -1.681 3.096
H 3.960 5.172 -1.252
C 5.911 4.101 -3.793
O 0.502 -1.591 -2.774
H -2.430 0.565 3.924
C 5.291 4.969 -2.912
C -0.765 -2.907 0.893
C 3.259 4.184 1.700
C 6.522 1.370 1.344
H 0.346 6.401 0.471
S -1.005 2.525 3.611
H 2.145 -1.153 -2.870
*
```

Results of the Mulliken charge analysis, in e, for atoms 1 through 5: number 1, C, carries -1.67; number 2, H, carries 0.44; number 3, C, carries -0.40; number 4, H, carries -0.24; number 5, H, carries 0.07

=====

This record from the Open Molecules 2025 dataset describes C47H120N24O17V as an isolated structure at a distorted geometry. The level of theory is the ωB97M-V functional and the def2-TZVPD basis.

HOMO energy ... -10.268 eV
Electronic energy ... -5400.1557 Eh
Gap between HOMO and LUMO ... 8.7 eV
LUMO energy ... -1.59 eV

Geometry as ORCA input:
```
........
Here the page continues >
The mural was painted by CRP artists Desi Mundo and Pancho Peskador at Melrose Leadership Academy, a “dual immersion” school which actively promotes bilingual education, multiculturalism and community awareness. The mural project included facilitating a presentation with StopWaste and staff at Melrose Leadership Academy (MLA), getting folks to sign the pledge to compost, and painting the mural with students and parents, over a two-day period.
As Mundo—who’s also CRP’s Executive Director and founder—notes, “The artists created a circular compost ‘mandala’ emphasizing the air, worms, water used to create new plant life superimposed over a colorful compost pile. The circle is held in by two hands and with the words ‘Compost, Garden, Life’ in Spanish and English. On the sides, corn, beans and tomatoes—all currently in the MLA garden boxes—are growing. From underneath the ground, ants and other insects from gardens support the cycle of life.”
MLA principle Moyra Contreras said, “”Educating young people on the importance if composting food waste not only will help to positively impact the amount of garbage they produce as adults in the future, it will reduce waste now as they go home and educate their families. The MLA mural is a great educational tool and a beautiful reminder of our responsibility to the earth.”
Calculated molecules, kept here for reference:
- - -
{"formula": "C4H2LiO2Zn", "method": "wB97M-V/def2-TZVPD", "elements": ["C", "C", "O", "Li", "H", "C", "C", "O", "Zn", "H"], "coordinates": [[-0.05164, -1.13218, -1.53401], [0.11632, -1.29908, -0.26980], [-0.29749, -1.11623, -2.69752], [-0.75613, -0.25319, -4.27821], [0.79125, -2.08342, 0.08781], [0.96845, 1.93519, 1.88800], [-0.12632, 1.46399, 2.23096], [-1.04823, 0.60709, 2.03643], [-1.32266, -0.74194, 0.98030], [1.72646, 2.61979, 1.55603]], "atomic_forces_ev_per_a": [[-0.10, -1.30, 1.04], [-0.78, -0.62, -0.82], [-0.02, 0.99, -0.51], [0.17, -0.19, 0.20], [0.06, 0.55, -0.08], [-1.71, 0.19, 0.82], [3.47, 0.25, -2.63], [-2.26, 0.72, 2.46], [1.34, -0.43, -1.05], [-0.16, -0.16, 0.56]], "mulliken_charge": [0.666, -0.624, -0.596, 0.971, 0.540, -0.435, 0.228, -0.550, 0.459, 0.340], "orbital_gap_ev": 6.08, "homo_energy_ev": -11.1, "total_charge": 1, "molar_mass_g_mol": 154.39, "e_lumo_ha": -0.1856, "e_tot_ha": -2090.58330}

{"formula": "C8H10O3", "method": "wB97M-V/def2-TZVPD", "elements": ["C", "C", "C", "C", "C", "C", "C", "C", "H", "H", "H", "H", "H", "H", "H", "H", "H", "H", "O", "O", "O"], "coordinates": [[-2.27756, -2.02586, -0.10464], [-0.01280, -1.40453, -0.57841], [1.27725, -1.58190, -0.18401], [2.10719, -0.80357, 0.45770], [1.90851, 0.62731, 0.59166], [0.62970, 0.91696, 0.17400], [0.41934, 3.16854, 0.82075], [-0.35410, -0.01967, -0.25867], [-2.31403, -1.87310, 1.16445], [-3.10186, -2.68362, -0.31248], [-2.67288, -0.94418, -0.36518], [1.64455, -2.52854, -0.49762], [3.34202, -1.07500, 0.16001], [2.80009, 1.20990, 1.04241], [0.84999, 2.83239, 1.76641], [1.15915, 3.91716, 0.38487], [-0.53860, 3.95667, 1.03613], [-1.38931, 1.71817, -0.88961], [-1.02551, -2.34914, -0.93202], [-0.06943, 2.05533, 0.28330], [-1.65060, 0.56963, -0.47623]], "atomic_forces_ev_per_a": [[-0.75, 3.18, 1.67], [-4.12, 4.19, 1.77], [-1.13, -5.09, -1.84], [6.97, 3.83, -1.19], [0.97, -1.90, 0.78], [-0.89, -0.33, 0.74], [-0.73, 5.06, 3.18], [-1.40, -1.08, -1.94], [1.37, -1.06, -3.43], [0.38, -0.87, -0.50], [0.99, -2.61, 0.06], [0.55, -1.00, 0.06], [-3.62, 0.47, 1.83], [-2.21, -0.47, -1.05], [0.10, 0.77, 0.51], [-0.53, -1.68, -0.64], [2.42, -2.40, -0.34], [-0.94, -5.21, 2.20], [-0.03, 1.72, 2.52], [-0.39, 1.02, -2.25], [2.99, 3.43, -2.13]], "mulliken_charge": [-0.705, 0.102, -0.339, -0.588, -0.434, 0.708, -0.762, 0.608, 0.241, 0.369, 0.270, 0.384, 0.142, 0.317, 0.334, 0.284, 0.202, 0.427, -0.424, -0.418, -0.719], "orbital_gap_ev": 8.96, "homo_energy_ev": -8.5, "total_charge": 0, "molar_mass_g_mol": 154.16, "e_lumo_ha": 0.0182, "e_tot_ha": -536.30167}
- - -
The calculated molecules stop here:
The simple message of the mural—that composting can help ‘green’ communities organically—was an easy one for CRP to get behind. Previously, CRP has partnered on mural projects with food justice organizations like People’s Grocery, Phat Beets, and Urban Tilth; and, as Mundo explains, “many of our artists are gardeners eager to spread the word about composting.”
Noting that the MLA mural was a “logical continuation” of CRP’s commitment to community engagement and past work, Mundi adds, “From an organizational standpoint, we are hoping to build on our ongoing partnerships with food justice organizations to create a powerful campaign raising awareness about the benefits of compost through public art. We feel strongly that a series of murals on composting would be deeply engaging and impactful to the community.”
### Someone pasted data records at this point
=====
[1]
{
  "formula": "C19H33GeInN6OPSSe",
  "method": "ωB97M-V/def2-TZVPD",
  "charge": 1,
  "mol_weight_da": 690.9,
  "e_above_lowest_kj_mol": 39.62,
  "total_energy_ha": -6555.3910,
  "e_homo_ev": -10.806,
  "e_lumo_ev": -3.036,
  "homo_lumo_gap_ev": 7.769,
  "elements": ["In", "N", "C", "S", "N", "N", "C", "C", "C", "C", "C", "C", "C", "O", "H", "H", "H", "H", "H", "H", "H", "C", "N", "C", "N", "C", "N", "C", "P", "C", "C", "H", "H", "H", "H", "H", "H", "H", "H", "H", "H", "H", "H", "C", "Ge", "C", "C", "C", "Se", "C", "H", "H", "H", "H", "H", "H", "H", "H", "H", "H", "H", "H", "H", "H"],
  "positions_angstrom": [[0.25206, 0.11660, 0.92374], [2.24357, -3.13156, -1.08318], [1.32298, -2.31708, -0.50223], [1.80519, -1.71846, 1.10901], [0.23959, -2.05786, -1.15115], [-0.65161, -1.24251, -0.46363], [-1.89731, -1.56734, -0.51533], [-2.95361, -1.05254, 0.31528], [-4.24932, -1.52576, 0.01918], [-5.32647, -1.23775, 0.81611], [-5.11755, -0.47957, 1.97279], [-3.86453, -0.01507, 2.30009], [-2.75296, -0.26440, 1.47933], [-1.59896, 0.28135, 1.82841], [2.96873, -3.52114, -0.50653], [1.92268, -3.69389, -1.85608], [-2.15145, -2.36834, -1.20777], [-4.37983, -2.14133, -0.86324], [-6.31110, -1.60631, 0.56769], [-5.95084, -0.25783, 2.62726], [-3.70231, 0.56436, 3.19959], [-1.25108, 5.30176, 0.24745], [0.05246, 5.02659, -0.35909], [1.10639, 5.53195, 0.52141], [1.03115, 4.99786, 1.88265], [-0.30240, 5.26975, 2.42887], [-1.38811, 4.75401, 1.59614], [-1.43598, 3.29683, 1.59167], [0.14316, 2.64057, 0.89729], [0.22820, 3.61788, -0.67410], [1.35272, 3.57847, 1.92770], [-2.03862, 4.89910, -0.39061], [-1.37331, 6.38354, 0.30682], [1.00780, 6.61614, 0.57915], [2.08133, 5.29500, 0.09197], [-0.41809, 6.35106, 2.50638], [-0.37564, 4.84099, 3.42918], [-2.27312, 2.94256, 0.98785], [-1.57657, 2.90653, 2.59965], [-0.56806, 3.28345, -1.34254], [1.18266, 3.44712, -1.17127], [2.36389, 3.40181, 1.55622], [1.31206, 3.21695, 2.95733], [5.51263, -0.78642, 1.58225], [5.38966, 1.13449, 1.89871], [7.13376, 1.84452, 2.40638], [4.06122, 1.47983, 3.29612], [4.82266, 2.11593, 0.28035], [3.20339, 1.49153, -0.61387], [3.91948, -0.01802, -1.59532], [5.77601, -1.28489, 2.51615], [6.28455, -1.01667, 0.84728], [4.55964, -1.19070, 1.24532], [7.48086, 1.37472, 3.32680], [7.08987, 2.92155, 2.56968], [7.86777, 1.64618, 1.62520], [4.48022, 1.21876, 4.26853], [3.16218, 0.87658, 3.14942], [3.78142, 2.53339, 3.33096], [5.60936, 2.15205, -0.47413], [4.60936, 3.15252, 0.55026], [4.28311, -0.78045, -0.91597], [4.71469, 0.33142, -2.24892], [3.10675, -0.42174, -2.19494]]
}

[2]
{
  "formula": "C19H33N3O4S",
  "method": "ωB97M-V/def2-TZVPD",
  "charge": 0,
  "mol_weight_da": 399.6,
  "e_above_lowest_kj_mol": 6.64,
  "total_energy_ha": -1607.2016,
  "e_homo_ev": -8.587,
  "e_lumo_ev": 0.580,
  "smiles": "CC(C)CN(CC(C)C)S(=O)(=O)N1CCC(C(=O)NCc2ccco2)CC1",
  "homo_lumo_gap_ev": 9.167,
=====
### The entry goes on
To donate to CRP, click here.
For more info about composting and StopWaste.org’s food scrap recycling program, click here.